Start at the top of the lines underneath and copy each line, ending with the one that has "-7.958".

-- begin --
# 1
# C40H36ClIrN3Si2

C40H36ClIrN3Si2 as an isolated structure at a distorted geometry (ωB97M-V/def2-TZVPD, the Open Molecules 2025 dataset).

Last column: Mulliken spin population.
Cartesian coordinates (Å):
C: -1.595 0.766 0.679  0.29
C: -1.777 0.861 -0.731  0.05
C: -1.350 -0.391 -1.316  -0.03
H: -2.276 1.664 -1.270  0.01
C: -0.814 -1.211 -0.231  0.13
C: -1.012 -0.477 0.989  -0.02
H: -0.823 -0.864 1.988  0.01
H: -1.919 1.511 1.404  0.00
H: -1.564 -0.751 -2.311  0.03
H: -0.503 -2.248 -0.333  0.00
Ir: 0.592 0.361 -1.052  0.40
Si: 1.315 0.445 -3.342  0.00
C: 0.558 2.099 -3.912  -0.02
C: 1.418 3.170 -4.177  0.00
H: 2.497 3.045 -4.045  0.00
C: 0.915 4.404 -4.610  0.00
H: 1.596 5.241 -4.771  0.00
C: -0.451 4.562 -4.854  0.00
H: -0.848 5.502 -5.244  0.00
C: -1.313 3.497 -4.597  0.00
H: -2.379 3.570 -4.826  0.00
C: -0.819 2.316 -4.039  -0.01
H: -1.542 1.573 -3.694  0.00
C: 0.280 -0.996 -4.161  -0.22
C: -1.165 -0.951 -4.483  0.83
H: -1.784 -0.078 -4.306  -0.04
C: -1.709 -2.058 -5.245  0.19
H: -2.677 -1.943 -5.733  -0.03
C: -1.180 -3.356 -4.986  0.45
H: -1.757 -4.238 -5.262  0.02
C: 0.042 -3.450 -4.342  -0.10
H: 0.436 -4.441 -4.104  0.01
C: 0.780 -2.334 -3.963  0.52
H: 1.739 -2.469 -3.453  0.04
H: 1.159 -0.903 -1.869  0.06
Si: -0.172 -1.091 -6.043  0.05
C: 0.751 -2.176 -7.268  0.07
C: 0.165 -2.367 -8.530  0.01
H: -0.753 -1.828 -8.792  0.01
C: 0.749 -3.245 -9.450  0.01
H: 0.281 -3.399 -10.423  0.00
C: 1.929 -3.925 -9.118  0.00
H: 2.378 -4.624 -9.827  0.00
C: 2.533 -3.707 -7.874  0.01
H: 3.450 -4.238 -7.606  0.00
C: 1.963 -2.810 -6.965  0.03
H: 2.458 -2.613 -6.011  0.00
C: -0.267 0.560 -6.949  0.01
C: -1.483 1.135 -7.327  0.02
H: -2.419 0.614 -7.113  0.01
C: -1.488 2.382 -7.958  0.00
H: -2.436 2.843 -8.236  0.00
C: -0.287 3.051 -8.214  0.00
H: -0.294 4.033 -8.690  0.00
C: 0.926 2.464 -7.845  0.00
H: 1.865 2.986 -8.025  0.00
C: 0.935 1.212 -7.232  0.03
H: 1.886 0.750 -6.953  0.00
H: 2.011 0.934 -2.013  0.11
Cl: 3.140 0.160 -4.278  0.01
C: 2.460 -3.238 2.673  0.08
C: 2.581 -1.993 3.310  -0.04
C: 2.477 -0.819 2.564  0.10
C: 2.184 -0.899 1.196  -0.08
C: 2.214 -2.138 0.531  0.07
C: 2.305 -3.309 1.282  -0.05
N: 1.741 0.301 0.568  0.31
N: 1.937 1.367 1.338  0.37
C: 1.359 2.495 0.813  -0.05
C: 1.439 3.739 1.480  0.06
C: 0.747 4.819 0.974  0.00
C: 0.004 4.637 -0.211  0.08
C: -0.033 3.395 -0.821  -0.01
N: 0.675 2.342 -0.353  0.16
H: 2.502 -4.158 3.260  0.00
H: 2.753 -1.912 4.383  0.00
H: 2.553 0.169 3.021  0.02
H: 2.134 -2.167 -0.554  0.00
H: 2.257 -4.277 0.780  0.00
H: 2.050 3.747 2.381  0.00
H: 0.762 5.785 1.474  0.00
H: -0.559 5.453 -0.663  0.00
H: -0.624 3.223 -1.724  0.01

The HOMO energy (spin up / spin down) comes out at -8.55 / -10.84 eV. Its charge is +1. Its expectation value of S² is 6.049. The calculation puts the energy relative to the best compared isomer or geometry (same formula, charge and spin) at 146.93 kJ/mol. The calculation puts the HOMO-LUMO gap (spin up / spin down) at 3.88 / 5.66 eV. As for the multiplicity: 5.

# 2
# C40H36CoN6O3STe

C40H36CoN6O3STe as an isolated structure at a distorted geometry (ωB97M-V/def2-TZVPD, the Open Molecules 2025 dataset).

Last column: Mulliken spin population.
Cartesian coordinates (Å):
Co: -0.172 -0.300 0.115  0.95
C: -7.196 -2.720 0.412  0.00
O: -5.969 -2.662 1.086  0.00
C: -5.160 -1.576 0.819  0.00
C: -5.642 -0.347 0.351  0.00
C: -4.761 0.688 0.137  -0.01
C: -3.382 0.569 0.375  -0.01
C: -2.456 1.622 0.111  0.02
C: -2.956 2.952 -0.402  0.00
O: -1.224 1.526 0.295  0.02
C: -2.893 -0.692 0.885  0.00
O: -1.673 -0.876 1.205  0.01
C: -3.818 -1.741 1.073  0.01
H: -7.611 -3.708 0.615  0.00
H: -7.075 -2.593 -0.670  0.00
H: -7.912 -1.971 0.773  0.00
H: -6.696 -0.198 0.151  0.00
H: -5.155 1.629 -0.226  0.00
H: -3.460 3.484 0.409  0.00
H: -3.655 2.812 -1.225  0.00
H: -2.111 3.543 -0.750  0.00
H: -3.453 -2.686 1.453  0.00
N: 2.072 -0.993 2.682  0.00
C: 3.038 -0.961 1.698  0.00
C: 4.183 -0.171 1.839  0.00
C: 5.221 -0.246 0.926  0.00
C: 5.140 -1.114 -0.152  0.00
C: 4.004 -1.901 -0.301  0.00
-- stop --

# 1
# C40H36ClIrN3Si2

C40H36ClIrN3Si2 as an isolated structure at a distorted geometry (ωB97M-V/def2-TZVPD, the Open Molecules 2025 dataset).

Last column: Mulliken spin population.
Cartesian coordinates (Å):
C: -1.595 0.766 0.679  0.29
C: -1.777 0.861 -0.731  0.05
C: -1.350 -0.391 -1.316  -0.03
H: -2.276 1.664 -1.270  0.01
C: -0.814 -1.211 -0.231  0.13
C: -1.012 -0.477 0.989  -0.02
H: -0.823 -0.864 1.988  0.01
H: -1.919 1.511 1.404  0.00
H: -1.564 -0.751 -2.311  0.03
H: -0.503 -2.248 -0.333  0.00
Ir: 0.592 0.361 -1.052  0.40
Si: 1.315 0.445 -3.342  0.00
C: 0.558 2.099 -3.912  -0.02
C: 1.418 3.170 -4.177  0.00
H: 2.497 3.045 -4.045  0.00
C: 0.915 4.404 -4.610  0.00
H: 1.596 5.241 -4.771  0.00
C: -0.451 4.562 -4.854  0.00
H: -0.848 5.502 -5.244  0.00
C: -1.313 3.497 -4.597  0.00
H: -2.379 3.570 -4.826  0.00
C: -0.819 2.316 -4.039  -0.01
H: -1.542 1.573 -3.694  0.00
C: 0.280 -0.996 -4.161  -0.22
C: -1.165 -0.951 -4.483  0.83
H: -1.784 -0.078 -4.306  -0.04
C: -1.709 -2.058 -5.245  0.19
H: -2.677 -1.943 -5.733  -0.03
C: -1.180 -3.356 -4.986  0.45
H: -1.757 -4.238 -5.262  0.02
C: 0.042 -3.450 -4.342  -0.10
H: 0.436 -4.441 -4.104  0.01
C: 0.780 -2.334 -3.963  0.52
H: 1.739 -2.469 -3.453  0.04
H: 1.159 -0.903 -1.869  0.06
Si: -0.172 -1.091 -6.043  0.05
C: 0.751 -2.176 -7.268  0.07
C: 0.165 -2.367 -8.530  0.01
H: -0.753 -1.828 -8.792  0.01
C: 0.749 -3.245 -9.450  0.01
H: 0.281 -3.399 -10.423  0.00
C: 1.929 -3.925 -9.118  0.00
H: 2.378 -4.624 -9.827  0.00
C: 2.533 -3.707 -7.874  0.01
H: 3.450 -4.238 -7.606  0.00
C: 1.963 -2.810 -6.965  0.03
H: 2.458 -2.613 -6.011  0.00
C: -0.267 0.560 -6.949  0.01
C: -1.483 1.135 -7.327  0.02
H: -2.419 0.614 -7.113  0.01
C: -1.488 2.382 -7.958  0.00